### Exercise
Find the line below that holds "composition C17H18BN7O3SV", then quote that line and all lines after it there.
### Given
........
1.
A structure of composition C17H18BN7O3SV in a non-equilibrium geometry, computed with ωB97M-V with the def2-TZVPD basis set.

Each line ends with the Mulliken charge.
Element x y z (Å)
H (-1.18, -2.34, 0.44)  0.42
N (0.71, -1.54, -0.10)  0.58
B (3.13, -1.18, -0.64)  0.18
N (1.91, -2.12, -0.46)  -0.40
C (1.75, -3.45, -0.59)  -0.10
V (0.68, 0.82, 0.21)  0.98
H (2.58, -4.06, -0.90)  0.46
C (0.43, -3.75, -0.25)  -1.24
H (-0.04, -4.71, -0.26)  0.40
C (-0.18, -2.53, 0.08)  -0.31
H (4.13, -1.81, -0.84)  -0.12
C (0.34, 2.32, 1.37)  -1.48
H (-0.73, 2.50, 1.55)  0.28
H (0.66, 2.96, 0.50)  0.20
H (0.94, 2.59, 2.24)  0.65
N (3.17, -0.38, 0.69)  -0.11
N (2.77, -0.24, -1.82)  -0.27
N (1.99, 0.30, 1.20)  0.17
N (1.54, 0.44, -1.76)  0.39
C (4.07, -0.47, 1.68)  -0.19
C (3.26, -0.12, -3.05)  -0.35
H (5.02, -0.95, 1.48)  0.45
H (4.15, -0.66, -3.33)  0.45
C (3.56, 0.09, 2.85)  -1.20
C (2.43, 0.73, -3.80)  -0.88
C (2.28, 0.53, 2.54)  -0.24
C (1.39, 1.11, -2.98)  -0.60
H (4.05, 0.16, 3.80)  0.41
H (2.58, 1.00, -4.83)  0.41
H (1.53, 0.99, 3.16)  0.59
H (0.55, 1.77, -3.10)  0.55
H (0.80, -0.27, -1.55)  0.31
O (-2.13, -0.92, -1.81)  -0.61
S (-2.08, 0.35, -1.12)  1.09
O (-1.64, 1.52, -1.84)  -0.65
N (-1.18, 0.26, 0.32)  0.38
C (-1.95, 0.22, 1.49)  0.03
O (-1.47, -0.07, 2.59)  -0.66
C (-3.35, 0.58, 1.15)  0.18
C (-4.38, 0.95, 2.02)  -0.64
C (-5.61, 1.33, 1.49)  -0.49
C (-5.83, 1.31, 0.10)  -0.51
C (-4.79, 0.97, -0.77)  -0.76
C (-3.56, 0.64, -0.22)  0.54
H (-4.17, 0.94, 3.09)  0.49
H (-6.42, 1.64, 2.15)  0.38
H (-6.81, 1.58, -0.30)  0.39
H (-4.91, 0.95, -1.85)  0.46

LUMO level (spin up / spin down) in eV: 0.04 / 0.03
Spin multiplicity: 4
<S²>: 3.783
Relative energy (zero: lowest compared OMol25 entry of this formula, charge and spin) in kJ/mol: 386.04

2.
A structure of composition C30H41Br12N6O8 in a non-equilibrium geometry, computed with ωB97M-V with the def2-TZVPD basis set.

Each line ends with the Mulliken charge.
Element x y z (Å)
C (0.11, -3.82, 2.71)  -0.96
C (0.66, -2.39, 2.71)  -0.59
N (-0.02, -1.44, 1.93)  0.17
C (0.42, -1.19, 0.62)  -0.33
C (-0.53, -0.43, 0.00)  -0.42
N (-1.66, -0.33, 0.78)  0.21
C (-1.37, -1.00, 1.94)  -0.19
C (-2.95, 0.09, 0.36)  -0.87
H (-0.74, -3.82, 3.40)  0.31
H (0.72, -4.71, 2.84)  0.33
H (-0.37, -3.89, 1.74)  0.31
H (1.69, -2.50, 2.39)  0.34
H (0.66, -2.04, 3.74)  0.41
H (1.42, -1.45, 0.29)  0.42
H (-0.40, -0.07, -1.01)  0.45
H (-2.04, -1.39, 2.70)  0.37
H (-3.02, 0.06, -0.73)  0.33
H (-2.96, 1.10, 0.76)  0.37
H (-3.81, -0.50, 0.67)  0.33
C (-1.71, 7.16, -4.17)  -0.32
Br (-2.10, 9.01, -3.57)  -0.02
Br (-0.90, 6.02, -2.82)  -0.01
Br (-0.54, 7.17, -5.71)  0.00
H (-2.68, 6.71, -4.41)  0.34
C (1.05, 0.36, 8.94)  -0.35
Br (1.20, 1.08, 10.79)  -0.01
Br (-0.91, 0.67, 8.48)  -0.04
Br (1.44, -1.56, 9.18)  -0.01
H (1.67, 0.81, 8.16)  0.40
C (-8.71, 5.46, -4.47)  -0.30
Br (-9.07, 7.39, -4.78)  -0.01
Br (-10.36, 4.41, -4.42)  -0.01
Br (-7.50, 5.14, -2.90)  -0.01
H (-8.19, 5.13, -5.37)  0.34
C (6.31, -7.57, 1.16)  -0.31
Br (5.02, -9.10, 0.68)  -0.04
Br (6.28, -6.19, -0.22)  0.01
Br (8.06, -8.33, 1.52)  0.00
H (6.09, -7.22, 2.17)  0.34
C (6.00, 2.25, -3.27)  -0.60
C (4.83, 1.60, -3.85)  -0.41
C (4.92, 0.54, -4.70)  0.57
C (6.17, 0.18, -5.17)  -0.46
C (7.36, 0.86, -4.77)  -0.67
C (7.27, 1.88, -3.82)  0.75
O (8.49, 2.46, -3.34)  -0.55
O (3.77, -0.20, -4.88)  -0.52
H (6.25, 3.10, -2.66)  0.39
H (3.82, 1.95, -3.72)  0.37
H (6.20, -0.78, -5.67)  0.25
H (8.39, 0.64, -5.04)  0.27
H (9.31, 2.36, -3.84)  0.31
H (3.88, -0.91, -5.53)  0.31
C (8.22, 3.12, 2.93)  -0.47
C (7.77, 1.98, 3.69)  -0.69
C (6.36, 1.99, 4.00)  0.57
C (5.52, 3.03, 3.58)  -0.45
C (5.98, 4.14, 2.99)  -0.56
C (7.33, 4.19, 2.67)  0.72
O (7.77, 5.33, 2.04)  -0.49
O (5.91, 0.79, 4.37)  -0.52
H (9.18, 3.40, 2.52)  0.25
H (8.53, 1.28, 4.01)  0.34
H (4.45, 2.92, 3.55)  0.34
H (5.29, 4.94, 2.77)  0.38
H (8.67, 5.07, 1.84)  0.26
H (6.53, 0.06, 4.38)  0.31
C (-6.65, -6.43, -1.21)  -0.43
C (-7.83, -7.19, -0.92)  -0.42
C (-7.92, -7.93, 0.20)  0.67
C (-6.82, -7.96, 1.12)  -0.45
........
### Solution
A structure of composition C17H18BN7O3SV in a non-equilibrium geometry, computed with ωB97M-V with the def2-TZVPD basis set.

Each line ends with the Mulliken charge.
Element x y z (Å)
H (-1.18, -2.34, 0.44)  0.42
N (0.71, -1.54, -0.10)  0.58
B (3.13, -1.18, -0.64)  0.18
N (1.91, -2.12, -0.46)  -0.40
C (1.75, -3.45, -0.59)  -0.10
V (0.68, 0.82, 0.21)  0.98
H (2.58, -4.06, -0.90)  0.46
C (0.43, -3.75, -0.25)  -1.24
H (-0.04, -4.71, -0.26)  0.40
C (-0.18, -2.53, 0.08)  -0.31
H (4.13, -1.81, -0.84)  -0.12
C (0.34, 2.32, 1.37)  -1.48
H (-0.73, 2.50, 1.55)  0.28
H (0.66, 2.96, 0.50)  0.20
H (0.94, 2.59, 2.24)  0.65
N (3.17, -0.38, 0.69)  -0.11
N (2.77, -0.24, -1.82)  -0.27
N (1.99, 0.30, 1.20)  0.17
N (1.54, 0.44, -1.76)  0.39
C (4.07, -0.47, 1.68)  -0.19
C (3.26, -0.12, -3.05)  -0.35
H (5.02, -0.95, 1.48)  0.45
H (4.15, -0.66, -3.33)  0.45
C (3.56, 0.09, 2.85)  -1.20
C (2.43, 0.73, -3.80)  -0.88
C (2.28, 0.53, 2.54)  -0.24
C (1.39, 1.11, -2.98)  -0.60
H (4.05, 0.16, 3.80)  0.41
H (2.58, 1.00, -4.83)  0.41
H (1.53, 0.99, 3.16)  0.59
H (0.55, 1.77, -3.10)  0.55
H (0.80, -0.27, -1.55)  0.31
O (-2.13, -0.92, -1.81)  -0.61
S (-2.08, 0.35, -1.12)  1.09
O (-1.64, 1.52, -1.84)  -0.65
N (-1.18, 0.26, 0.32)  0.38
C (-1.95, 0.22, 1.49)  0.03
O (-1.47, -0.07, 2.59)  -0.66
C (-3.35, 0.58, 1.15)  0.18
C (-4.38, 0.95, 2.02)  -0.64
C (-5.61, 1.33, 1.49)  -0.49
C (-5.83, 1.31, 0.10)  -0.51
C (-4.79, 0.97, -0.77)  -0.76
C (-3.56, 0.64, -0.22)  0.54
H (-4.17, 0.94, 3.09)  0.49
H (-6.42, 1.64, 2.15)  0.38
H (-6.81, 1.58, -0.30)  0.39
H (-4.91, 0.95, -1.85)  0.46

LUMO level (spin up / spin down) in eV: 0.04 / 0.03
Spin multiplicity: 4
<S²>: 3.783
Relative energy (zero: lowest compared OMol25 entry of this formula, charge and spin) in kJ/mol: 386.04

2.
A structure of composition C30H41Br12N6O8 in a non-equilibrium geometry, computed with ωB97M-V with the def2-TZVPD basis set.

Each line ends with the Mulliken charge.
Element x y z (Å)
C (0.11, -3.82, 2.71)  -0.96
C (0.66, -2.39, 2.71)  -0.59
N (-0.02, -1.44, 1.93)  0.17
C (0.42, -1.19, 0.62)  -0.33
C (-0.53, -0.43, 0.00)  -0.42
N (-1.66, -0.33, 0.78)  0.21
C (-1.37, -1.00, 1.94)  -0.19
C (-2.95, 0.09, 0.36)  -0.87
H (-0.74, -3.82, 3.40)  0.31
H (0.72, -4.71, 2.84)  0.33
H (-0.37, -3.89, 1.74)  0.31
H (1.69, -2.50, 2.39)  0.34
H (0.66, -2.04, 3.74)  0.41
H (1.42, -1.45, 0.29)  0.42
H (-0.40, -0.07, -1.01)  0.45
H (-2.04, -1.39, 2.70)  0.37
H (-3.02, 0.06, -0.73)  0.33
H (-2.96, 1.10, 0.76)  0.37
H (-3.81, -0.50, 0.67)  0.33
C (-1.71, 7.16, -4.17)  -0.32
Br (-2.10, 9.01, -3.57)  -0.02
Br (-0.90, 6.02, -2.82)  -0.01
Br (-0.54, 7.17, -5.71)  0.00
H (-2.68, 6.71, -4.41)  0.34
C (1.05, 0.36, 8.94)  -0.35
Br (1.20, 1.08, 10.79)  -0.01
Br (-0.91, 0.67, 8.48)  -0.04
Br (1.44, -1.56, 9.18)  -0.01
H (1.67, 0.81, 8.16)  0.40
C (-8.71, 5.46, -4.47)  -0.30
Br (-9.07, 7.39, -4.78)  -0.01
Br (-10.36, 4.41, -4.42)  -0.01
Br (-7.50, 5.14, -2.90)  -0.01
H (-8.19, 5.13, -5.37)  0.34
C (6.31, -7.57, 1.16)  -0.31
Br (5.02, -9.10, 0.68)  -0.04
Br (6.28, -6.19, -0.22)  0.01
Br (8.06, -8.33, 1.52)  0.00
H (6.09, -7.22, 2.17)  0.34
C (6.00, 2.25, -3.27)  -0.60
C (4.83, 1.60, -3.85)  -0.41
C (4.92, 0.54, -4.70)  0.57
C (6.17, 0.18, -5.17)  -0.46
C (7.36, 0.86, -4.77)  -0.67
C (7.27, 1.88, -3.82)  0.75
O (8.49, 2.46, -3.34)  -0.55
O (3.77, -0.20, -4.88)  -0.52
H (6.25, 3.10, -2.66)  0.39
H (3.82, 1.95, -3.72)  0.37
H (6.20, -0.78, -5.67)  0.25
H (8.39, 0.64, -5.04)  0.27
H (9.31, 2.36, -3.84)  0.31
H (3.88, -0.91, -5.53)  0.31
C (8.22, 3.12, 2.93)  -0.47
C (7.77, 1.98, 3.69)  -0.69
C (6.36, 1.99, 4.00)  0.57
C (5.52, 3.03, 3.58)  -0.45
C (5.98, 4.14, 2.99)  -0.56
C (7.33, 4.19, 2.67)  0.72
O (7.77, 5.33, 2.04)  -0.49
O (5.91, 0.79, 4.37)  -0.52
H (9.18, 3.40, 2.52)  0.25
H (8.53, 1.28, 4.01)  0.34
H (4.45, 2.92, 3.55)  0.34
H (5.29, 4.94, 2.77)  0.38
H (8.67, 5.07, 1.84)  0.26
H (6.53, 0.06, 4.38)  0.31
C (-6.65, -6.43, -1.21)  -0.43
C (-7.83, -7.19, -0.92)  -0.42
C (-7.92, -7.93, 0.20)  0.67
C (-6.82, -7.96, 1.12)  -0.45